-- To do --
Set down the listing further down from the line with "5.88314" to the end character by character.

-- Listing --
********
Record 1
Density functional theory data (ωB97M-V/def2-TZVPD) for a 3-piece molecular cluster, C21H39F2N3O10 overall.

Element x y z (Å)
C -0.94830 1.25840 0.77094
C -0.06257 0.09248 0.32608
C 0.35294 0.18161 -1.15883
F 0.04750 1.43385 -1.67171
C 1.81960 -0.12346 -1.49767
C 2.20943 -1.60219 -1.47861
C 1.59205 -2.39895 -0.36088
O 1.81244 -2.26163 0.79502
F 0.74225 -3.34195 -0.79390
O 1.88522 0.19710 -2.92812
C 2.39631 1.42124 -3.14123
O 2.47935 1.96549 -4.18758
O 2.84229 1.92839 -1.95353
C 2.90039 0.89131 -1.00538
O 4.20244 0.34699 -1.06236
N 2.71794 1.43870 0.31494
C 3.11345 0.76934 1.26908
O 3.35349 0.21979 2.25525
H -0.44541 2.21684 0.66735
H -1.16775 1.12361 1.83033
H -1.88094 1.23814 0.21088
H 0.77170 -0.04935 1.00246
H -0.67637 -0.80674 0.42060
H -0.23584 -0.54351 -1.72863
H 1.92702 -2.02675 -2.43819
H 3.28716 -1.71816 -1.37899
H 4.60319 0.55681 -1.91477
C -0.74323 1.26601 7.59690
O -0.81804 2.67180 7.72285
C 0.35579 3.28275 8.24497
C 1.08108 4.08397 7.18489
N 1.68479 3.21667 6.18221
C 2.19677 3.90938 5.00349
C 1.21213 4.68173 4.13083
O 0.28884 3.86903 3.43177
C -0.86404 3.48609 4.15721
H -1.74665 0.90498 7.37680
H -0.07979 0.95857 6.78112
H -0.40157 0.80107 8.52633
H 1.01783 2.53797 8.69636
H 0.03350 3.96705 9.03476
H 1.86941 4.67273 7.66388
H 0.35542 4.78437 6.74971
H 1.00057 2.53441 5.88314
H 2.67329 3.15561 4.37154
H 2.98562 4.59749 5.32481
H 1.79730 5.18982 3.36003
H 0.68468 5.46621 4.68707
H -1.17965 4.25122 4.87100
H -0.70574 2.53910 4.68191
H -1.66821 3.33110 3.43705
C -4.28696 -5.28849 -5.31733
O -3.03015 -5.32285 -5.96309
C -2.90336 -4.42584 -7.06015
C -1.95803 -3.28830 -6.73779
N -2.52970 -2.38329 -5.74966
C -1.59423 -1.40040 -5.21033
C -0.37649 -1.90149 -4.44074
O -0.67735 -2.51021 -3.19143
C -1.05104 -3.87859 -3.26822
H -4.32632 -6.13684 -4.63593
H -4.42746 -4.37150 -4.73446
H -5.10612 -5.38066 -6.03638
H -3.88110 -4.04813 -7.37311
H -2.48348 -4.99817 -7.89193
H -1.75366 -2.72695 -7.65447
H -1.01304 -3.73424 -6.39876
H -2.90477 -2.92705 -4.98393
H -2.16197 -0.75172 -4.53846
H -1.24347 -0.77140 -6.03444
H 0.23146 -1.02567 -4.20354
H 0.25723 -2.56416 -5.04259
H -0.54288 -4.39501 -4.08573
H -2.13302 -3.98137 -3.38127
H -0.77316 -4.35420 -2.32947

Cartesian forces, eV/Å:
0.349 -0.230 0.183
-0.503 -0.147 -0.163
-0.136 -0.401 0.752
0.192 0.074 0.014
0.099 0.622 -1.396
-0.235 -0.399 0.232
0.315 0.291 0.320
-0.078 -0.158 -0.159
0.024 -0.088 0.079
0.223 -0.234 -0.182
-0.199 0.003 0.419
-0.014 0.023 0.018
-0.098 0.169 -0.079
0.734 0.255 0.449
-0.299 -0.239 0.044
0.264 -0.865 -0.247
-0.732 0.455 0.062
0.295 0.123 -0.091
-0.084 0.046 -0.123
-0.127 0.003 -0.011
-0.029 0.258 0.004
0.086 0.151 -0.051
0.154 -0.110 0.046
0.043 0.085 -0.144
-0.225 0.025 0.040
0.028 0.196 0.078
-0.016 0.066 0.040
-0.084 0.062 -0.017
0.089 -0.139 -0.032
-0.080 0.218 0.112
-0.011 -0.140 -0.152
-0.121 0.081 -0.031
0.037 -0.170 0.050
0.150 0.134 -0.101
-0.069 0.006 0.058
0.024 -0.143 -0.199
-0.008 0.034 -0.004
0.055 -0.048 0.055
0.028 -0.022 -0.011
0.023 -0.042 -0.085
0.009 -0.020 0.015
0.004 0.019 -0.015
-0.001 0.077 0.099
0.010 -0.018 0.014
0.035 0.035 -0.019
-0.023 0.034 0.007
-0.017 -0.006 -0.013
-0.051 -0.081 0.072
0.062 -0.002 0.046
-0.070 0.055 0.132
0.016 0.038 -0.020
0.081 -0.071 0.015
-0.133 0.090 0.057
0.178 -0.106 -0.155
-0.080 0.048 0.183
0.116 -0.091 0.031
-0.199 -0.029 0.025
0.098 0.258 -0.032
0.092 -0.111 -0.160
-0.097 0.125 0.235
0.034 -0.004 -0.007
-0.074 0.025 -0.047
-0.023 0.029 0.009
-0.014 0.053 0.082
-0.026 0.001 -0.008
0.023 0.011 0.005
0.038 -0.036 -0.116
-0.027 -0.002 -0.015
0.037 0.047 -0.012
0.043 -0.016 -0.002
-0.015 -0.017 -0.009
-0.095 -0.097 0.002
-0.044 0.033 -0.060
0.019 -0.111 -0.121
0.034 0.037 0.005

## Properties
HOMO level = -8.68 eV
Net charge = 0
ΔE to the lowest compared entry with this formula, charge and spin = 0.0000 eV
Structure (SMILES) = CC[C@@H](F)[C@@]1(CC(=O)F)OC(=O)O[C@@]1(O)N=C=O.COCCNCCOC.COCCNCCOC
E_LUMO = 0.5 eV

---

Record 2
********

-- Result --
H 1.00057 2.53441 5.88314
H 2.67329 3.15561 4.37154
H 2.98562 4.59749 5.32481
H 1.79730 5.18982 3.36003
H 0.68468 5.46621 4.68707
H -1.17965 4.25122 4.87100
H -0.70574 2.53910 4.68191
H -1.66821 3.33110 3.43705
C -4.28696 -5.28849 -5.31733
O -3.03015 -5.32285 -5.96309
C -2.90336 -4.42584 -7.06015
C -1.95803 -3.28830 -6.73779
N -2.52970 -2.38329 -5.74966
C -1.59423 -1.40040 -5.21033
C -0.37649 -1.90149 -4.44074
O -0.67735 -2.51021 -3.19143
C -1.05104 -3.87859 -3.26822
H -4.32632 -6.13684 -4.63593
H -4.42746 -4.37150 -4.73446
H -5.10612 -5.38066 -6.03638
H -3.88110 -4.04813 -7.37311
H -2.48348 -4.99817 -7.89193
H -1.75366 -2.72695 -7.65447
H -1.01304 -3.73424 -6.39876
H -2.90477 -2.92705 -4.98393
H -2.16197 -0.75172 -4.53846
H -1.24347 -0.77140 -6.03444
H 0.23146 -1.02567 -4.20354
H 0.25723 -2.56416 -5.04259
H -0.54288 -4.39501 -4.08573
H -2.13302 -3.98137 -3.38127
H -0.77316 -4.35420 -2.32947

Cartesian forces, eV/Å:
0.349 -0.230 0.183
-0.503 -0.147 -0.163
-0.136 -0.401 0.752
0.192 0.074 0.014
0.099 0.622 -1.396
-0.235 -0.399 0.232
0.315 0.291 0.320
-0.078 -0.158 -0.159
0.024 -0.088 0.079
0.223 -0.234 -0.182
-0.199 0.003 0.419
-0.014 0.023 0.018
-0.098 0.169 -0.079
0.734 0.255 0.449
-0.299 -0.239 0.044
0.264 -0.865 -0.247
-0.732 0.455 0.062
0.295 0.123 -0.091
-0.084 0.046 -0.123
-0.127 0.003 -0.011
-0.029 0.258 0.004
0.086 0.151 -0.051
0.154 -0.110 0.046
0.043 0.085 -0.144
-0.225 0.025 0.040
0.028 0.196 0.078
-0.016 0.066 0.040
-0.084 0.062 -0.017
0.089 -0.139 -0.032
-0.080 0.218 0.112
-0.011 -0.140 -0.152
-0.121 0.081 -0.031
0.037 -0.170 0.050
0.150 0.134 -0.101
-0.069 0.006 0.058
0.024 -0.143 -0.199
-0.008 0.034 -0.004
0.055 -0.048 0.055
0.028 -0.022 -0.011
0.023 -0.042 -0.085
0.009 -0.020 0.015
0.004 0.019 -0.015
-0.001 0.077 0.099
0.010 -0.018 0.014
0.035 0.035 -0.019
-0.023 0.034 0.007
-0.017 -0.006 -0.013
-0.051 -0.081 0.072
0.062 -0.002 0.046
-0.070 0.055 0.132
0.016 0.038 -0.020
0.081 -0.071 0.015
-0.133 0.090 0.057
0.178 -0.106 -0.155
-0.080 0.048 0.183
0.116 -0.091 0.031
-0.199 -0.029 0.025
0.098 0.258 -0.032
0.092 -0.111 -0.160
-0.097 0.125 0.235
0.034 -0.004 -0.007
-0.074 0.025 -0.047
-0.023 0.029 0.009
-0.014 0.053 0.082
-0.026 0.001 -0.008
0.023 0.011 0.005
0.038 -0.036 -0.116
-0.027 -0.002 -0.015
0.037 0.047 -0.012
0.043 -0.016 -0.002
-0.015 -0.017 -0.009
-0.095 -0.097 0.002
-0.044 0.033 -0.060
0.019 -0.111 -0.121
0.034 0.037 0.005

## Properties
HOMO level = -8.68 eV
Net charge = 0
ΔE to the lowest compared entry with this formula, charge and spin = 0.0000 eV
Structure (SMILES) = CC[C@@H](F)[C@@]1(CC(=O)F)OC(=O)O[C@@]1(O)N=C=O.COCCNCCOC.COCCNCCOC
E_LUMO = 0.5 eV

---

Record 2